Exemplo n.º 1
        def checkNodeContext(node):
            context = 'interesting' # every context is interesting, mybe we get more specific
            #context = ''

            # filter out the occurrences like 'c' in a.b().c
            myFirst = node.getFirstChild(mandatory=False, ignoreComments=True)
            if not treeutil.checkFirstChainChild(myFirst): # see if myFirst is the first identifier in a chain
                context = ''

            # filter out variable in lval position -- Nope! (qx.ui.form.ListItem.prototype.setValue = 
            # function(..){...};)
            #elif (node.hasParentContext("assignment/left")):
            #    context = ''

            # fitler out a.b[c] -- Nope! E.g. foo.ISO_8601_FORMAT might carry further dependencies
            # (like 'new qx.util.format.DateFormat("yyyy-MM-dd")')
            elif (treeutil.selectNode(node, "accessor")):
                context = 'accessor'

            # check name in 'new ...' position
            elif (node.hasParentContext("instantiation/*/*/operand")):
                context = 'new'

            # check name in call position
            elif (node.hasParentContext("call/operand")):
                context = 'call'

            # check name in "'extend' : ..." position
            elif (node.hasParentContext("keyvalue/*") and node.parent.parent.get('key') in ['extend']): #, 'include']):
                #print "-- found context: %s" % node.parent.parent.get('key')
                context = 'extend'

            return context
Exemplo n.º 2
        def checkNodeContext(node):
            context = 'interesting' # every context is interesting, mybe we get more specific
            #context = ''

            # filter out the occurrences like 'c' in a.b().c
            myFirst = node.getFirstChild(mandatory=False, ignoreComments=True)
            if not treeutil.checkFirstChainChild(myFirst): # see if myFirst is the first identifier in a chain
                context = ''

            # filter out variable in lval position -- Nope! (qx.ui.form.ListItem.prototype.setValue = 
            # function(..){...};)
            #elif (node.hasParentContext("assignment/left")):
            #    context = ''

            # fitler out a.b[c] -- Nope! E.g. foo.ISO_8601_FORMAT might carry further dependencies
            # (like 'new qx.util.format.DateFormat("yyyy-MM-dd")')
            elif (treeutil.selectNode(node, "accessor")):
                context = 'accessor'

            # check name in 'new ...' position
            elif (node.hasParentContext("instantiation/*/*/operand")):
                context = 'new'

            # check name in call position
            elif (node.hasParentContext("call/operand")):
                context = 'call'

            # check name in "'extend' : ..." position
            elif (node.hasParentContext("keyvalue/*") and node.parent.parent.get('key') in ['extend']): #, 'include']):
                #print "-- found context: %s" % node.parent.parent.get('key')
                context = 'extend'

            return context
Exemplo n.º 3
        def checkNodeContext(node):
            context = 'interesting' # every context is interesting, mybe we get more specific
            #context = ''

            # filter out the occurrences like 'c' in a.b().c
            myFirst = node.getFirstChild(mandatory=False, ignoreComments=True)
            if not treeutil.checkFirstChainChild(myFirst): # see if myFirst is the first identifier in a chain
                context = ''

            # filter out ... = position (lvals) - Nope! (qx.ui.form.ListItem.prototype.setValue = 
            # function(..){...};)
            #elif (node.hasParentContext("assignment/left")):
            #    context = ''

            # check name in 'new ...' position
            elif (node.hasParentContext("instantiation/*/*/operand")):
                context = 'new'

            # check name in call position
            elif (node.hasParentContext("call/operand")):
                context = 'call'

            # check name in "'extend' : ..." position
            elif (node.hasParentContext("keyvalue/*") and node.parent.parent.get('key') in ['extend']): #, 'include']):
                #print "-- found context: %s" % node.parent.parent.get('key')
                context = 'extend'

            return context
Exemplo n.º 4
 def visit_identifier(self, node):
     # only treat leftmost identifier (e.g. in a dotaccessor expression)
     if treeutil.checkFirstChainChild(node):
         var_name = node.get('value')
         # lookup var
         var_scope = self.curr_scope.lookup_decl(var_name)
         if not var_scope:  # it's a global reference
             self.curr_scope.add_use(var_name, node)
             node.scope = self.curr_scope
         else:  # it's a scoped variable
             var_scope.add_use(var_name, node)
             node.scope = var_scope
Exemplo n.º 5
 def visit_identifier(self, node):  
     # only treat leftmost identifier (e.g. in a dotaccessor expression)
     if treeutil.checkFirstChainChild(node):
         var_name = node.get('value')
         # lookup var
         var_scope = self.curr_scope.lookup_decl(var_name)
         if not var_scope: # it's a global reference
             self.curr_scope.add_use(var_name, node)
             node.scope = self.curr_scope
         else: # it's a scoped variable
             var_scope.add_use(var_name, node)
             node.scope = var_scope
Exemplo n.º 6
    def usedVariablesIterator(node):

        # Switch on node context:
        # "function", "catch":
        if node.type in ["function", "catch"]:

        # "catch": skip the identifier of catch clauses, e.g. the 'e' in 'catch(e)'
        # (it belongs to the catch scope)
        if node.parent and node.parent.type == "catch" and node == node.parent.children[0]:

        # "for-in": treat variables used in for-in loops as used variables (why?)
        # (undeclared variables are handled by the normal "identifier" rule
        # further down)
        if (
            node.type == "var" and
            node.parent.type == "operation" and
            node.parent.get("operator") == "IN"
            use = node.getChild("definition").getDefinee()
            if use:
                name = use.get("value", False)
                name = None if name == False else name
                yield (name, use)

        # "identifier": 
        if node.type == "identifier":
            isFirstChild     = False
            isVariableMember = False

            if node.parent.isVar(): # (the old code added "accessor" for the types to check)
                isVariableMember = True
                isFirstChild = treeutil.checkFirstChainChild(node)

            # inside a variable only respect the first member
            if not isVariableMember or isFirstChild:
                name = node.get("value", False)
                name = None if name == False else name                
                if name:
                    yield (name, node)

        # -- Recurse over children
        if node.children:
            for child in node.children:
                for (name, use) in Scope.usedVariablesIterator(child):
                    yield (name, use)

Exemplo n.º 7
 def visit_identifier(self, node):  # var reference
     #print "var use visitor", node
     if treeutil.checkFirstChainChild(node):  # only treat leftmost identifier (e.g. in a dotaccessor expression)
         var_name = node.get('value')
         # lookup var
         #if var_name == "Stack":
         #    import pydb; pydb.debugger()
         var_scope = self.curr_scope.lookup_decl(var_name)
         if not var_scope: # it's a global reference
             self.curr_scope.add_use(var_name, node)
             node.scope = self.curr_scope
         else: # it's a scoped variable
             var_scope.add_use(var_name, node)
             node.scope = var_scope
Exemplo n.º 8
    def usedVariablesIterator(node):

        # Switch on node context:
        # "function", "catch":
        if node.type in ["function", "catch"]:

        # "catch": skip the identifier of catch clauses, e.g. the 'e' in 'catch(e)'
        # (it belongs to the catch scope)
        if node.parent and node.parent.type == "catch" and node == node.parent.children[

        # "for-in": treat variables used in for-in loops as used variables (why?)
        # (undeclared variables are handled by the normal "identifier" rule
        # further down)
        if (node.type == "var" and node.parent.type == "operation"
                and node.parent.get("operator") == "IN"):
            use = node.getChild("definition").getDefinee()
            if use:
                name = use.get("value", False)
                name = None if name == False else name
                yield (name, use)

        # "identifier":
        if node.type == "identifier":
            isFirstChild = False
            isVariableMember = False

            if node.parent.isVar(
            ):  # (the old code added "accessor" for the types to check)
                isVariableMember = True
                isFirstChild = treeutil.checkFirstChainChild(node)

            # inside a variable only respect the first member
            if not isVariableMember or isFirstChild:
                name = node.get("value", False)
                name = None if name == False else name
                if name:
                    yield (name, node)

        # -- Recurse over children
        if node.children:
            for child in node.children:
                for (name, use) in Scope.usedVariablesIterator(child):
                    yield (name, use)

Exemplo n.º 9
def processVariantGet(callNode, variantMap):

    treeModified = False

    # Simple sanity checks
    params = callNode.getChild("params")
    if len(params.children) != 1:
            "Expecting exactly one argument for qx.core.Environment.get. Ignoring this occurrence.",
        return treeModified

    firstParam = params.getChildByPosition(0)
    if not isStringLiteral(firstParam):
        # warning is currently covered in parsing code
        #log("Warning", "First argument must be a string literal! Ignoring this occurrence.", firstParam)
        return treeModified

    # skipping "relative" calls like "a.b.qx.core.Environment.get()"
    qxIdentifier = treeutil.selectNode(callNode,
    if not treeutil.checkFirstChainChild(qxIdentifier):
            "Skipping relative qx.core.Environment.get call. Ignoring this occurrence ('%s')."
            % treeutil.findChainRoot(qxIdentifier).toJavascript())
        return treeModified

    variantKey = firstParam.get("value")
    if variantKey in variantMap:
        confValue = variantMap[variantKey]
        return treeModified

    # Replace the .get() with its value
    resultNode = reduceCall(callNode, confValue)
    treeModified = True

## What comes next are crystal structures, not part of the article
=====
Calculated X-ray diffraction stick pattern of KZnCl3O2 for λ = 1.5418 Å (Cu Kα), from DFT lattice parameters and positions (PBE).
Kinematic intensities with the Lorentz-polarization factor, no thermal factor.

Atomic structure:
Unit cell a=6.4418 b=10.6318 c=12.3533 alpha=90.00 beta=103.92 gamma=90.00
Space group P2_1/c (No. 14)
One atom of each set of equivalent atoms:
K  0.1237  0.1475  0.3742 (multiplicity 4)
Zn  0.4740  0.1159  0.6693 (multiplicity 4)
Cl  0.1827  0.6184  0.7496 (multiplicity 4)
Cl  0.2570  0.2215  0.1347 (multiplicity 4)
Cl  0.3347  0.5647  0.0887 (multiplicity 4)
O  0.3255  0.5486  0.3968 (multiplicity 4)
O  0.3433  0.0597  0.8649 (multiplicity 4)

Main lines, low angle first (2θ from 10° to 90°):
(hkl)  2θ/deg  d [Å]  intensity
0 1 1  11.12  7.955  100
1 0 0  14.16  6.253  61
0 0 2  14.78  5.995  52
1 1 -2  19.73  4.499  58
1 2 -1  22.01  4.038  54
1 1 -3  24.83  3.586  66
0 2 3  27.93  3.195  65
=====
## So much for the crystal structures

    # Reduce any potential operations with literals (+3, =='hugo', ?a:b, ...)
    treeMod = True
    while treeMod:
        resultNode, treeMod = reduceOperation(resultNode)

    # Reduce a potential condition
    _ = reduceLoop(resultNode)

    return treeModified
Exemplo n.º 10
 def visit_identifier(self, node):  # var reference
     #print "var use visitor", node
     if treeutil.checkFirstChainChild(
     ):  # only treat leftmost identifier (e.g. in a dotaccessor expression)
         var_name = node.get('value')
         # lookup var
         #if var_name == "Stack":
         #    import pydb; pydb.debugger()
         var_scope = self.curr_scope.lookup_decl(var_name)
         if not var_scope:  # it's a global reference
             self.curr_scope.add_use(var_name, node)
             node.scope = self.curr_scope
         else:  # it's a scoped variable
             var_scope.add_use(var_name, node)
             node.scope = var_scope
Exemplo n.º 11
def processVariantGet(callNode, variantMap):

    treeModified = False

    # Simple sanity checks
    params = callNode.getChild("params")
    if len(params.children) != 1:
        log("Warning", "Expecting exactly one argument for qx.core.Environment.get. Ignoring this occurrence.", params)
        return treeModified

    firstParam = params.getChildByPosition(0)
    if not isStringLiteral(firstParam):
        log("Warning", "First argument must be a string literal! Ignoring this occurrence.", firstParam)
        return treeModified

    # skipping "relative" calls like "a.b.qx.core.Environment.get()"
    qxIdentifier = treeutil.selectNode(callNode, "operand/variable/identifier[1]")
    if not treeutil.checkFirstChainChild(qxIdentifier):
            "Skipping relative qx.core.Environment.get call. Ignoring this occurrence ('%s')."
            % treeutil.findChainRoot(qxIdentifier).toJavascript(),
        return treeModified

    variantKey = firstParam.get("value")
    if variantKey in variantMap:
        confValue = variantMap[variantKey]
        return treeModified

    # Replace the .get() with its value
    resultNode = reduceCall(callNode, confValue)
    treeModified = True

    # Reduce any potential operations with literals (+3, =='hugo', ?a:b, ...)
    treeMod = True
    while treeMod:
        resultNode, treeMod = reduceOperation(resultNode)

    # Reduce a potential condition
    _ = reduceLoop(resultNode)

    return treeModified